2025 SMSI Poster klein

P7 - Optical Immune Biosensor Based on SPR for the Detection of Salmonella Typhimurium

SENSOR+TEST Conferences 2011
2011-06-07 - 2011-06-09
Proceedings OPTO 2011
OP - Poster Session
V. Romanov, I. Galelyuka, V. Glushkov - Institute of Cybernetics of National Academy of Sciences, Kyiv (Ukraine), N. Starodub, R. Son‘ko - National University of Life and Environmental Sciences, Kyiv (Ukraine)
139 - 144

Misplaced records of molecules:
- - -
Version w
Computed, not measured: a 2-piece molecular cluster, C5H7Cl overall, with wB97M-V/def2-TZVPD.

Properties
* Kohn-Sham gap (alpha / beta): 8.4 / 6.9 eV
* highest occupied orbital energy (alpha / beta): -0.302 / -0.273 hartree

Geometry (Å):
C -1.293 0.422 0.179
C -3.320 -0.343 -0.433
C 1.093 0.928 -0.115
C 1.111 -0.283 0.723
C -0.056 -0.086 -0.252
Cl -4.472 0.727 0.129
H -1.371 0.898 1.148
H -3.240 -0.347 -1.520
H 0.856 1.876 0.346
H 1.754 1.012 -0.964
H 1.806 -1.075 0.491
H 0.888 -0.176 1.776
H -0.052 -0.688 -1.152

***

Version x
Computed, not measured: one molecule with the formula C5H7Cl, with wB97M-V/def2-TZVPD.

Properties
* Kohn-Sham gap (alpha / beta): 8.4 / 8.1 eV
* highest occupied orbital energy (alpha / beta): -0.288 / -0.282 hartree

Geometry (Å):
C 0.143 0.910 0.372
C 0.055 2.127 -0.051
C -0.100 -0.521 0.498
C -1.220 -0.564 -0.495
C 1.111 -1.360 0.100
Cl -2.818 -0.180 0.014
H -0.637 2.512 -0.794
H 0.709 2.876 0.377
H -0.442 -0.785 1.502
H -1.022 -0.329 -1.527
H 1.448 -1.082 -0.896
H 0.851 -2.414 0.095
H 1.922 -1.192 0.804

***

Version y
Computed, not measured: one molecule with the formula C5H7Cl, with wB97M-V/def2-TZVPD.

Properties
* Kohn-Sham gap: 10.0 eV
* highest occupied orbital energy: -0.339 hartree

Geometry (Å):
C 1.190 0.865 0.502
C 0.250 0.283 -0.198
C -0.044 0.751 -1.605
C -0.518 -0.879 0.413
C -0.837 -1.114 1.691
Cl -1.189 -1.987 -0.822
H 1.821 1.672 0.147
H 1.543 0.406 1.421
H 0.801 1.322 -2.043
H -0.151 -0.139 -2.277
H -0.997 1.362 -1.655
H -0.478 -0.501 2.504
H -1.392 -2.041 1.924

***

Stability ranking, top and bottom: version y is the most stable and version w is the least stable.

***

Version w
Computed, not measured: C6H34NO11 as an isolated structure, with wB97M-V/def2-TZVPD.

Properties
* net charge: -1
* Kohn-Sham gap: 8.5 eV
* highest occupied orbital energy: -0.216 hartree

Geometry (Å):
C -2.485 -1.624 2.191
C -1.435 -0.898 1.369
C -1.990 -0.297 0.047
C -1.276 0.922 -0.527
C -1.518 0.994 -2.033
N -0.335 -1.910 1.173
C 1.124 -1.414 1.499
O 1.747 -0.704 0.440
H -3.268 -2.018 1.527
H -2.867 -0.866 3.031
H -1.992 -2.563 2.735
H -0.953 -0.064 1.866
H -2.088 -1.098 -0.676
H -3.045 -0.094 0.372
H -0.203 0.815 -0.308
H -1.765 1.871 -0.193
H -2.577 0.825 -2.426
H -1.019 1.791 -2.669
H -0.924 0.257 -2.580
H -0.240 -2.162 0.207
H 1.783 -2.359 1.535
H 1.108 -0.760 2.360
H -0.447 3.305 -1.321
H 0.398 2.885 -0.117
O -0.245 3.615 -0.468
H -3.290 -2.219 -0.592
H -3.895 -1.885 -1.841
O -4.190 -2.109 -0.971
H 3.362 0.287 0.399
H 4.395 0.173 1.510
O 4.289 0.341 0.620
H 1.452 0.450 0.736
H 1.880 2.027 1.657
O 1.260 1.707 0.962
H 2.646 -0.663 -1.525
H 4.110 -0.276 -1.646
O 3.370 -0.621 -2.249
H 1.616 -1.344 -3.732
H 0.617 -2.591 -3.702
O 0.605 -1.638 -3.747
H -0.629 0.841 3.944
H -1.711 0.111 4.635
O -0.698 0.238 4.674
H 2.330 2.416 -0.775
H 3.746 2.356 -0.685
O 3.087 2.651 -1.256
H -0.797 2.845 2.063
H -0.129 1.473 2.060
O -0.628 2.036 2.666
H -1.455 -2.821 -3.459
H -1.378 -1.506 -2.996
O -1.966 -2.035 -3.532
- - -


Salmonella typhimurium is one of the major pathogen dispersed through foodstuff. To avoid nondesirable effects on the health the control of foodstuff should be constant. The traditional approaches, which are used, as a rule, for the revealing of the infected organisms, are time consumable, routine and demand a special laboratory conditions with a very professional staff. For overcoming of these disadvantages there is necessary to develop instrumental methods, in particularly, based on the principles of biosensorics. The efficiency of the instrumental methods depends on many factors: technical characteristics of the registering part, specific preparation of biological sensitive layer and algorithm of fulfilled analysis. At the optimization of the general characteristics of the biosensor there is necessary to take into attention the main practice demands which concern sensitivity, specificity, rapidity, simplicity and low cost analysis. Unfortunately, in many cases, investigators involve or very expensive devices, or very complicate systems for the transducer preparation and analysis fulfilment.

We used the miniature SPR based device developed by Spreta (USA) as basis of the registering part and improved it by GPS system which can provide the immediately transferring of the obtained results in the stationary laboratory for the further verification of analysis and taking of the appropriate decision to restrict of the infection source. Analysis data are transferred from device to the medical centre or the laboratory by means of radio channel. As radio-transmitter it is used the original unit, which is developed by the company "VD MAIS". The procedure of the transducer preparation included several sequential steps: a) cleaning of surface by ethanol, b) covering of surface by polyalylamine hydrochloride c) immobilization of protein A from Staphylococcus aureus and, at last, the oriented binding of the specific antibodies. The model solution of S. typhimurium with the number of concentrations (from 103 to 108 cells/mL) was prepared in 0,05 M tris-HCl buffer (pH 7,3). The time of the sample incubation with he transducer surface was about 5 min and after that the last was washed by the above mentioned buffer. The diagram of the obtained results is presented in Fig. 2 (the changes of microorganism concentrations are indicated by the pointers from above and the start of washing – by ones from bellow). It was stated that the sensor sensitivity was on the level 103-104 cells/mL and linear field is situated from this level up to 107 cells/mL. It is not sufficient sensitivity for all practice situations and, maybe, for its increasing there is necessary to find the most optimal variant of analysis from or/and to use the specific antibodies with high level of affinity.
